Monday 22 August 2011

Attached: molecular data >
- - -
60
Properties=species:S:1:pos:R:3 method="wB97M-V/def2-TZVPD" e_tot_ev=-57924.837 charge=+1
C -3.63380 3.97689 -2.48172
O -3.38934 3.72726 -1.11793
C -2.08186 3.85667 -0.79309
C -1.61836 3.70161 0.51872
C -0.24643 3.77067 0.85724
C 0.15203 3.60572 2.16070
C -0.77494 3.37765 3.17897
C -0.32960 3.21070 4.58881
C -2.12942 3.31944 2.85015
C -2.54526 3.47416 1.55428
H -4.70950 3.94425 -2.65623
H -3.26024 4.96704 -2.74688
H -3.15159 3.20843 -3.08677
H -1.38465 4.09481 -1.57978
H 0.47756 3.95576 0.08399
H 1.19705 3.65824 2.41213
H -1.17769 3.05620 5.25708
H 0.33319 2.35126 4.68897
H 0.20797 4.09362 4.93454
H -2.85291 3.15874 3.63065
H -3.59261 3.44214 1.30493
F 3.66566 -6.86578 2.82143
C 2.35158 -6.71552 2.57008
F 2.00636 -7.41116 1.46789
F 1.62553 -7.12895 3.62633
C 2.06444 -5.24705 2.32542
C 1.48284 -4.86558 1.13877
C 1.17718 -3.53254 0.88165
N 0.58587 -3.18805 -0.36141
C -0.13493 -2.09275 -0.76673
S -0.46214 -0.81970 0.25294
N -0.58078 -2.07468 -2.05137
C -1.23034 -0.93268 -2.68905
C -0.20649 0.10756 -3.13350
C 0.66857 -0.34166 -4.32603
C 0.85174 0.91302 -5.20934
C 0.08427 2.04026 -4.50024
N -0.83349 1.39021 -3.54442
C 1.48147 -2.59310 1.86331
C 2.07547 -2.96614 3.04657
C 2.37095 -1.91961 4.10361
F 3.40410 -2.33791 4.85978
F 2.67840 -0.76005 3.49059
F 1.27341 -1.75917 4.86750
C 2.36576 -4.29674 3.28115
H 1.24494 -5.62620 0.41428
H 0.67426 -3.90559 -1.08217
H -0.27671 -2.79401 -2.70916
H -1.84033 -1.25954 -3.53585
H -1.92738 -0.48567 -1.97286
H 0.45239 0.32292 -2.27807
H 1.62516 -0.75776 -3.99158
H 0.16032 -1.13968 -4.87452
H 1.91013 1.15894 -5.35145
H 0.43710 0.74178 -6.20795
H 0.77499 2.69837 -3.96118
H -0.47956 2.65926 -5.20641
H -1.08072 1.97393 -2.73960
H 1.24675 -1.55539 1.70983
H 2.82365 -4.58485 4.21303
- - -
Here the piece continues >

Jam Time!

It's the preserving season again, as you have seen in some previous posts we have managed to forage some wild fruit so this has all had to be dealt with and a lot of it goes towards jam making. We found a wild tree which produces huge apples and the smell of these freshly picked wild apples filled my house with a beautiful fresh apple smell not usually found in the supermarket ones.

We have used the simplest possible recipe for jam probably used for generations, which is use the same amount of sugar to fruit ratio. So if you use a kilo of fruit you use a kilo of sugar, very simple. The fruit is put in a large pan and enough water added to reach the top of the fruit, then add sugar and boil. We use a jam thermometer to monitor the temperature and the pan must be stirred regularly, when it thickens you can test set-ability by putting a little on a plate you have had in the freezer. After a few minutes on the cold plate the jam gets a skin or rucks up when you run your finger through it, this means it is ready to jar up. Don't forget to sterilise the jars, this is a very important step and fill the jars whilst hot as this helps to seal the jar.

# Here the entry breaks off for quantum chemistry results
~~~
No. 1
ORCA calculation (ωB97M-V/def2-TZVPD) on a single C4H7NO molecule at a distorted geometry.

Output
E_tot ... -286.5484 Eh
Relative energy (zero: lowest compared OMol25 entry of this formula, charge and spin) ... 2.2659 eV
Gap between HOMO and LUMO ... 10.85 eV
Highest occupied orbital energy ... -9.8 eV
LUMO energy ... 1.07 eV
SMILES ... O=CC[C@H]1CN1

XYZ file:
```
13
C4H7NO (ωB97M-V/def2-TZVPD)
O 1.2979 -0.9056 1.9653
C 0.2720 -1.2744 1.4515
C -0.6394 -0.2072 0.9108
C 0.1156 0.6774 -0.0819
C 0.3705 0.1637 -1.4471
N -0.7238 1.0988 -1.1968
H 0.1157 -2.3597 1.2066
H -1.0360 0.4143 1.7275
H -1.4402 -0.6909 0.3604
H 0.8494 1.3868 0.3090
H 0.0668 -0.8524 -1.6916
H 1.2444 0.5172 -1.9911
H -0.4930 2.0319 -1.5227
```

=====

No. 2
ORCA calculation (ωB97M-V/def2-TZVPD) on a single C2H6OS molecule at a distorted geometry.

Output
E_tot ... -553.1831 Eh
Relative energy (zero: lowest compared OMol25 entry of this formula, charge and spin) ... 0.5540 eV
Gap between HOMO and LUMO ... 10.39 eV
Highest occupied orbital energy ... -9.5 eV
LUMO energy ... 0.88 eV
SMILES ... C[C@H](O)S

XYZ file:
```
10
C2H6OS (ωB97M-V/def2-TZVPD)
C 0.4994 -0.7232 -0.1314
C -0.6401 0.1164 0.1985
O -1.0635 0.7311 -1.1334
S -0.1636 1.5182 1.4654
H 1.3673 -0.0823 -0.5657
H 0.2348 -1.3905 -0.8188
H 0.9792 -1.2331 0.8047
H -1.5131 -0.5109 0.6061
H -1.7540 1.4309 -0.8231
H 0.8925 1.6904 0.7568
```

=====

No. 3
ORCA calculation (ωB97M-V/def2-TZVPD) on a single C5H8 molecule.

Output
E_tot ... -195.1453 Eh
Relative energy (zero: lowest compared OMol25 entry of this formula, charge and spin) ... 3.9925 eV
Gap between HOMO and LUMO ... 9.19 eV
Highest occupied orbital energy ... -8.4 eV
LUMO energy ... 0.82 eV

XYZ file:
```
13
C5H8 (ωB97M-V/def2-TZVPD)
C -0.0640 -0.9848 0.8040
C -0.9841 -0.0967 -0.0669
C -0.1697 1.8152 -0.5140
C 0.3676 0.5011 -0.7276
C 1.1784 -0.1711 0.3926
H -0.0362 -2.0081 0.4159
H -0.3105 -1.0182 1.8697
H -1.6431 -0.5778 -0.7911
H -1.5577 0.6275 0.5249
H -0.8054 2.0190 -1.4030
H 0.5042 0.0774 -1.7287
H 2.0505 -0.7515 0.0811
H 1.4699 0.5680 1.1432
```

=====

No. 4
ORCA calculation (ωB97M-V/def2-TZVPD) on a molecular structure, C11H26CaN3OP2 at a distorted geometry.

Output
E_tot ... -2034.4471 Eh
Total charge ... -1
Gap between HOMO and LUMO (alpha / beta) ... 2.61 / 2.61 eV
Highest occupied orbital energy (alpha / beta) ... -0.4 / -0.4 eV
LUMO energy (alpha / beta) ... 2.17 / 2.17 eV

XYZ file:
```
44
C11H26CaN3OP2 (ωB97M-V/def2-TZVPD)
C -3.2018 -1.1958 -1.8985
C -2.9838 -2.3458 -2.7017
C -2.8655 -1.9324 -4.0628
C -3.0185 -0.5132 -4.1211
C -3.2121 -0.0244 -2.8029
Ca -1.8056 1.4717 0.3106
P -2.3450 -0.6399 2.0621
H -3.3909 -1.1779 -0.8231
H -2.9192 -3.3718 -2.3414
H -2.6938 -2.5917 -4.9118
H -3.3799 1.0139 -2.5059
H -2.9918 0.0929 -5.0250
H -1.4775 -1.2489 3.0203
H -2.9590 -1.8702 1.6587
H -3.3814 -0.3211 2.9963
C 0.5750 1.5350 2.9139
N 0.2932 1.7186 1.4666
C 0.4910 3.1397 1.0046
P 0.8716 0.5804 0.3214
O -0.1419 0.7542 -0.8032
N 2.3605 0.9499 -0.2137
~~~

This year we have made our blackberry jam seedless and as you can see in the above photograph the apple is added for pectin to help the jam set. Some fruit like apples and plums have a lot of pectin but berries do not, this is why we added apples. To make seedless we first cooked the blackberries for a few minutes until they were soft, mashed them and strained them through muslin or straining bag. Then returned the strained mixture back to the pan with the apples and sugar to continue the jamming process.

## Calculated molecules, kept here for reference
........
1.
# C44H48As2BrCl3GeLiN2O11Si

A molecular structure, C44H48As2BrCl3GeLiN2O11Si (wB97M-V/def2-TZVPD, OMol25).

Cartesian coordinates (Å):
Li 1.00886 -0.00139 2.04201
C 0.98526 -0.06156 5.18611
O 0.46858 -0.52103 3.94199
C -0.34114 -1.61395 3.96206
C -0.96260 -2.11508 5.08829
C -1.77100 -3.24218 4.96568
Br -2.62167 -3.92697 6.51104
C -1.96249 -3.85967 3.75476
C -1.33561 -3.35060 2.61107
C -0.52140 -2.23016 2.71688
O 0.14564 -1.69951 1.67117
C -1.49361 -3.96481 1.30005
N -0.87488 -3.52434 0.23045
C -1.30004 -4.33218 -0.80846
C -0.97398 -4.30469 -2.16259
C -1.55144 -5.25362 -2.98097
C -2.43871 -6.21435 -2.47272
C -2.77753 -6.25332 -1.13439
C -2.19219 -5.29511 -0.31663
N -2.29980 -5.03286 1.03485
H 0.18608 0.35638 5.80144
H 1.69589 0.72309 4.94181
H 1.48950 -0.87616 5.70807
H -0.83259 -1.64899 6.05201
H -2.59215 -4.73548 3.70112
H -0.10931 -2.20121 0.84617
H -0.30445 -3.55787 -2.56120
H -1.31818 -5.25283 -4.03667
H -2.87197 -6.93948 -3.14783
H -3.46555 -6.99295 -0.74829
H -2.87686 -5.52124 1.69447
Cl 2.53848 -3.49168 2.99206
Ge 3.05633 -2.09950 1.37997
Cl 3.26442 -0.13564 2.46309
Cl 5.15333 -2.59456 0.97744
C 3.40579 3.80444 -0.18078
O 2.76116 2.54479 -0.41028
C 2.05729 2.45399 -1.53713
O 1.99521 3.30403 -2.38621
C 1.27745 1.17585 -1.52790
C 0.24918 0.95941 -2.36713
As 0.94804 1.08269 -4.16939
C -0.58553 0.77995 -5.34597
C 1.52528 -0.83457 -3.79273
C 1.93603 -1.35899 -2.62932
As 2.05737 -0.45047 -0.83620
C 3.94260 0.03048 -1.14122
C 2.38833 -2.77826 -2.63748
O 2.48149 -3.47074 -3.62035
O 2.66458 -3.22445 -1.40452
C 3.04152 -4.60877 -1.31965
C 1.35975 -1.68036 -5.02358
O 0.30702 -2.21509 -5.24809
O 2.33003 -1.65765 -5.94684
C 3.61600 -1.14653 -5.59356
C -0.74629 -0.09699 -2.00056
O -0.62414 -0.86123 -1.07217
O -1.81619 -0.03614 -2.78325
C -2.89121 -0.93429 -2.47528
H 4.07000 3.64419 0.66333
H 2.65494 4.55415 0.06679
H 3.96011 4.11493 -1.06497
H -1.31771 1.54323 -5.08383
H -1.01848 -0.20795 -5.23445
H -0.25415 0.93668 -6.37159
H 4.01881 0.64777 -2.03856
H 4.48492 -0.90209 -1.30320
H 4.36066 0.55146 -0.28378
H 3.26822 -4.78930 -0.27270
H 3.91542 -4.79778 -1.94045
H 2.21266 -5.23467 -1.64819
H 4.20048 -1.17374 -6.50835
H 4.08196 -1.78302 -4.84206
H 3.55351 -0.11730 -5.23344
H -3.38396 -1.15029 -3.41921
H -3.57881 -0.43632 -1.79004
H -2.50952 -1.84515 -2.01825
C -2.96622 0.77452 2.00530
C -2.42282 2.13913 2.44318
C -3.52959 3.18582 2.32443
C -2.00926 2.02224 3.91553
Si -0.85028 2.55428 1.42901
O 0.11041 1.29959 1.33283
C -1.34714 3.22848 -0.27871
C -2.28000 2.56896 -1.08344
C -2.57208 2.99299 -2.37006
C -1.92990 4.10760 -2.89367
C -1.00826 4.78730 -2.11530
C -0.72838 4.35144 -0.82754
C 0.06300 3.97859 2.28890
C 1.37501 3.75669 2.71024
C 2.11007 4.74141 3.35694
C 1.53956 5.98250 3.59941
C 0.23848 6.23028 3.18369
C -0.48373 5.23954 2.53591
H -3.73162 0.43397 2.71052
H -2.17241 0.02644 1.96162
H -3.43596 0.81514 1.02126
H -4.43172 2.84655 2.84416
H -3.79870 3.38185 1.28456
H -3.23491 4.13351 2.77845
H -2.86564 1.72157 4.52862
H -1.63194 2.96904 4.30655
........

These are some of our jams as you can see people have started to eat some already and a jar of wild plum has already gone and the next jar started, looks like a jar of the blackberry is nearly finished too this one is my son's favourite. The apple jam is always very useful in this house, it is used all winter as cake fillings, especially apple turnovers. The plum and the blackberry jams have beautiful bright jewel like colours and they looked lovely on the jam drops we recently made.


  1. The kilo for kilo rule is really simple to remember, thanks.
    I love this time of year in the blogosphere - seeing everyones jars of loveliness!

  2. Me too, we tend to stick to simple recipes to preserve what we have for winter but I love looking at all the exotic recipes that get made :)

    thank-you for reading.
